Source:
┌──
Below is an optimized crystal structure of TmZrF7, with properties calculated at the r2SCAN level.

Geometry as POSCAR:
```
TmZrF7
1.0
5.9521 0.0000 0.0000
0.0000 5.6321 0.0000
-1.8016 0.0000 7.9084
Tm Zr F
2 2 14
Direct
0.1532 0.0000 0.1853
0.8468 0.5000 0.8147
0.3128 0.9907 0.7258
0.6872 0.4907 0.2742
0.0380 0.3013 0.0219
0.0415 0.2092 0.7114
0.1193 0.6930 0.7181
0.2548 0.0012 0.4729
0.3662 0.9978 0.9797
0.4228 0.2649 0.2682
0.4455 0.7484 0.2582
0.5545 0.2484 0.7418
0.5772 0.7649 0.7318
0.6338 0.4978 0.0203
0.7452 0.5012 0.5271
0.8807 0.1930 0.2819
0.9585 0.7092 0.2886
0.9620 0.8013 0.9781
```

Below is an optimized crystal structure of ThAs2, with properties calculated at the r2SCAN level.

Geometry as POSCAR:
```
ThAs2
1.0
4.1058 0.0000 0.0000
0.0000 4.1058 0.0000
0.0000 0.0000 8.6078
Th As
2 4
Direct
0.2500 0.2500 0.2188
0.7500 0.7500 0.7812
0.2500 0.2500 0.8634
0.2500 0.7500 0.5000
0.7500 0.2500 0.5000
0.7500 0.7500 0.1366
```

Below is an optimized crystal structure of Bi, with properties calculated at the r2SCAN level.

Geometry as POSCAR:
```
Bi
1.0
4.6584 0.0000 0.0000
0.0000 4.5264 0.0000
-0.3460 0.0000 6.5119
Bi
4
Direct
0.2486 0.2500 0.2513
0.2501 0.2500 0.7511
0.7499 0.7500 0.2489
0.7514 0.7500 0.7487
```

Below is an optimized crystal structure of YMg5, with properties calculated at the r2SCAN level.

Geometry as POSCAR:
```
YMg5
1.0
5.9525 -1.8389 0.0000
5.9525 1.8389 0.0000
-2.1583 0.0000 6.6941
Y Mg
1 5
Direct
0.0000 0.0000 0.0000
0.0000 0.0000 0.5000
0.3240 0.3240 0.1710
0.3275 0.3275 0.6539
0.6725 0.6725 0.3461
0.6760 0.6760 0.8290
```

Below is an optimized crystal structure of SiO2, with properties calculated at the r2SCAN level.

Geometry as POSCAR:
```
SiO2
1.0
8.9392 0.0000 0.0000
0.0000 8.9392 0.0000
0.0000 0.0000 8.9392
Si O
12 24
Direct
0.5000 0.7500 0.0000
0.0000 0.2500 0.5000
0.7500 0.0000 0.5000
0.0000 0.5000 0.2500
0.0000 0.7500 0.5000
0.5000 0.2500 0.0000
0.7500 0.5000 0.0000
0.2500 0.5000 0.0000
0.0000 0.5000 0.7500
0.5000 0.0000 0.2500
0.2500 0.0000 0.5000
0.5000 0.0000 0.7500
0.6475 0.0000 0.3525
0.3525 0.0000 0.6475
0.6475 0.0000 0.6475
0.3525 0.6475 0.0000
0.0000 0.3525 0.6475
0.0000 0.6475 0.6475
0.1475 0.1475 0.5000
0.0000 0.3525 0.3525
0.3525 0.3525 0.0000
0.8525 0.5000 0.1475
0.1475 0.8525 0.5000
0.0000 0.6475 0.3525
0.1475 0.5000 0.1475
0.8525 0.5000 0.8525
0.5000 0.8525 0.8525
0.5000 0.8525 0.1475
0.6475 0.6475 0.0000
0.6475 0.3525 0.0000
0.5000 0.1475 0.8525
0.5000 0.1475 0.1475
0.1475 0.5000 0.8525
0.3525 0.0000 0.3525
0.8525 0.8525 0.5000
0.8525 0.1475 0.5000
```

Below is an optimized crystal structure of BaCO3, with properties calculated at the r2SCAN level.

Geometry as POSCAR:
```
BaCO3
1.0
6.4164 0.0000 0.0000
0.0000 5.3592 0.0000
0.0000 0.0000 8.9800
Ba C O
4 4 12
Direct
0.2460 0.2500 0.0839
0.2540 0.7500 0.5839
0.7460 0.2500 0.4161
0.7540 0.7500 0.9161
0.0805 0.2500 0.7438
0.4195 0.7500 0.2438
0.5805 0.2500 0.7562
0.9195 0.7500 0.2562
0.0803 0.0408 0.8159
0.0803 0.4592 0.8159
0.0880 0.2500 0.5998
0.4120 0.7500 0.0998
0.4197 0.5408 0.3159
0.4197 0.9592 0.3159
0.5803 0.0408 0.6841
0.5803 0.4592 0.6841
0.5880 0.2500 0.9002
0.9120 0.7500 0.4002
0.9197 0.5408 0.1841
0.9197 0.9592 0.1841
```

Below is an optimized crystal structure of YbSF, with properties calculated at the r2SCAN level.

Geometry as POSCAR:
```
YbSF
1.0
3.9444 0.0000 0.0000
-1.9722 3.4159 0.0000
0.0000 0.0000 16.4471
Yb S F
4 4 4
Direct
0.0000 0.0000 0.0000
0.0000 0.0000 0.5000
0.3333 0.6667 0.2500
0.6667 0.3333 0.7500
0.3333 0.6667 0.0866
0.3333 0.6667 0.4134
0.6667 0.3333 0.5866
0.6667 0.3333 0.9134
0.0000 0.0000 0.2500
0.0000 0.0000 0.7500
0.3333 0.6667 0.7500
0.6667 0.3333 0.2500
```

Below is an optimized crystal structure of Eu2ZnIn, with properties calculated at the r2SCAN level.

Geometry as POSCAR:
```
Eu2ZnIn
1.0
0.0000 3.8716 3.8716
3.8716 0.0000 3.8716
3.8716 3.8716 0.0000
Eu Zn In
2 1 1
Direct
0.2500 0.2500 0.2500
0.7500 0.7500 0.7500
0.0000 0.0000 0.0000
0.5000 0.5000 0.5000
```
└──

To do:
Your job: reproduce every line further up that contains the word "Tm".

Written answer:
Tm Zr F